• Work order:
Your job: copy the lines further down up to the one that holds "1.7065", that line included.
• Excerpt:
'''
(1)
Density functional theory data (the ωB97M-V functional and the def2-TZVPD basis) for a 2-piece molecular cluster, C12H27N5O8P overall.

```
53
Properties=species:S:1:pos:R:3
O -2.8601 -1.7765 -1.2571
O -0.9304 3.9628 -1.7046
O 0.3608 -3.7926 1.9124
O -1.2925 1.0628 -0.0086
O -1.0722 6.1401 -1.1174
O -1.6619 1.6442 2.3333
O -2.7442 3.0096 0.4666
O -0.0706 3.0865 0.8752
C -2.7268 -1.7425 -0.0398
C -0.7868 4.8413 -0.8692
C 0.1430 -3.9422 0.7175
C 2.9961 0.2255 -2.0393
N 1.9431 0.7552 -2.6002
N 0.4721 -5.0539 0.0526
N 3.0516 -0.0414 -0.7450
N -1.6377 -2.1973 0.5881
N 4.0161 -0.0472 -2.8047
C -3.8394 -1.2000 0.8279
C 1.0743 -6.2337 0.6750
C -0.7984 5.2790 1.6592
C -0.1569 4.4873 0.5080
C 2.0014 0.2387 0.2564
C 1.2278 -1.0201 0.6785
C 0.5362 -1.7308 -0.5027
C -0.4863 -2.8106 -0.0969
P -1.4518 2.2167 0.8856
H -1.4469 6.1582 -2.0132
H -0.8825 1.0886 2.4254
H -3.3394 2.2771 0.2646
H 1.9118 0.9575 -3.5812
H 1.1271 0.9457 -2.0345
H 0.2442 -5.1005 -0.9278
H 3.9000 -0.4557 -0.3985
H -1.6301 -2.1762 1.5972
H 3.9727 0.1572 -3.7862
H 4.8489 -0.4506 -2.4156
H -4.5986 -0.7538 0.1868
H -3.4435 -0.4511 1.5087
H -4.2804 -2.0182 1.3941
H 1.0585 -7.0784 -0.0158
H 2.1065 -6.0207 0.9590
H 0.5159 -6.5037 1.5748
H -1.8781 5.1113 1.7087
H -0.3536 4.9876 2.6157
H -0.6316 6.3520 1.5193
H 0.8750 4.8419 0.4311
H 1.2978 0.9808 -0.1216
H 2.4701 0.6650 1.1456
H 1.9178 -1.7128 1.1614
H 0.4791 -0.7216 1.4118
H 0.0192 -0.9880 -1.1119
H 1.2978 -2.1965 -1.1294
H -0.8638 -3.2560 -1.0193
```

## Properties
gap between HOMO and LUMO: 0.3246 Eh
E: -1690.50062 Ha
charge: +1
F_max: 3.1 eV/Å
highest occupied orbital energy: -0.4224 Eh
LUMO: -2.661 eV

=====

(2)
Density functional theory data (the ωB97M-V functional and the def2-TZVPD basis) for one molecule with the formula C7H6O.

```
14
Properties=species:S:1:pos:R:3
C 0.9829 3.6641 -0.0304
C 1.0944 2.3637 0.1587
C 0.9925 0.8245 0.0836
C -0.1820 0.1752 0.5316
C -0.1195 -1.2885 0.1797
O 0.9927 -1.5355 -0.7993
C -1.3571 -1.7663 0.0187
C -2.6649 -1.8093 0.0408
H 1.1872 4.8156 -0.3301
H 1.8882 0.3619 -0.5423
H -0.9744 0.4847 1.2986
H 0.4037 -1.7302 1.1629
H 0.6601 -2.3198 -1.1101
H -3.5835 -2.3088 0.0196
```

## Properties
ΔE to the lowest compared entry with this formula, charge and spin: 157.6 kcal per mole
gap between HOMO and LUMO: 0.3329 Eh
E: -345.27403 Ha
SMILES: C#C/C=C/[C@H](O)C#C
F_max: 12.5 eV/Å
highest occupied orbital energy: -0.3229 Eh
LUMO: 0.271 eV

=====

(3)
Density functional theory data (the ωB97M-V functional and the def2-TZVPD basis) for one molecule with the formula C20H21N3O3.

```
47
Properties=species:S:1:pos:R:3
C -0.8908 4.3960 -2.3049
C 0.0502 3.4546 -3.0495
N 0.5088 2.3895 -2.1786
C -0.2365 1.2849 -2.0002
C 0.0724 0.2587 -1.1594
C -0.9061 -0.8744 -1.1263
O -1.9275 -0.8431 -1.7988
N -0.5600 -1.8973 -0.3317
C -1.4111 -3.0451 -0.1254
C -2.0258 -3.0401 1.2522
C -2.6893 -1.9130 1.7065
C -3.2520 -1.8730 2.9705
C -3.1500 -2.9791 3.7917
C -2.4937 -4.1186 3.3569
C -1.9264 -4.1608 2.0886
O -1.2654 -5.2436 1.5795
C -1.1249 -6.3872 2.3841
C 1.2789 0.3091 -0.3565
O 1.6412 -0.5581 0.4400
C 2.0703 1.5259 -0.5702
C 3.2683 1.7339 0.1192
C 3.9913 2.8851 -0.0962
C 3.5050 3.8276 -1.0088
C 4.2379 5.0992 -1.2921
N 2.3738 3.6465 -1.6666
C 1.6691 2.5349 -1.4642
H -1.2330 5.1817 -2.9722
H -1.7560 3.8536 -1.9302
H -0.3723 4.8520 -1.4654
H -0.4589 3.0054 -3.9049
H 0.9319 4.0001 -3.3886
H -1.1483 1.2102 -2.5791
H 0.2837 -1.7984 0.2278
H -0.8318 -3.9600 -0.2670
H -2.1986 -2.9914 -0.8848
H -2.7648 -1.0588 1.0500
H -3.7666 -0.9867 3.3091
H -3.5836 -2.9653 4.7809
H -2.4299 -4.9688 4.0178
H -2.0968 -6.8197 2.6440
H -0.5657 -6.1708 3.3003
H -0.5647 -7.1017 1.7825
H 3.5961 0.9720 0.8109
H 4.9185 3.0646 0.4251
H 5.1668 5.1482 -0.7318
H 3.6130 5.9503 -1.0277
H 4.4533 5.1710 -2.3562
```

## Properties
ΔE to the lowest compared entry with this formula, charge and spin: 37.1 kcal per mole
gap between HOMO and LUMO: 0.3057 Eh
E: -1164.77201 Ha
SMILES: CCn1cc(C(=O)NCc2ccccc2OC)c(=O)c2ccc(C)nc21
F_max: 0.9 eV/Å
'''
• Worked solution:
(1)
Density functional theory data (the ωB97M-V functional and the def2-TZVPD basis) for a 2-piece molecular cluster, C12H27N5O8P overall.

```
53
Properties=species:S:1:pos:R:3
O -2.8601 -1.7765 -1.2571
O -0.9304 3.9628 -1.7046
O 0.3608 -3.7926 1.9124
O -1.2925 1.0628 -0.0086
O -1.0722 6.1401 -1.1174
O -1.6619 1.6442 2.3333
O -2.7442 3.0096 0.4666
O -0.0706 3.0865 0.8752
C -2.7268 -1.7425 -0.0398
C -0.7868 4.8413 -0.8692
C 0.1430 -3.9422 0.7175
C 2.9961 0.2255 -2.0393
N 1.9431 0.7552 -2.6002
N 0.4721 -5.0539 0.0526
N 3.0516 -0.0414 -0.7450
N -1.6377 -2.1973 0.5881
N 4.0161 -0.0472 -2.8047
C -3.8394 -1.2000 0.8279
C 1.0743 -6.2337 0.6750
C -0.7984 5.2790 1.6592
C -0.1569 4.4873 0.5080
C 2.0014 0.2387 0.2564
C 1.2278 -1.0201 0.6785
C 0.5362 -1.7308 -0.5027
C -0.4863 -2.8106 -0.0969
P -1.4518 2.2167 0.8856
H -1.4469 6.1582 -2.0132
H -0.8825 1.0886 2.4254
H -3.3394 2.2771 0.2646
H 1.9118 0.9575 -3.5812
H 1.1271 0.9457 -2.0345
H 0.2442 -5.1005 -0.9278
H 3.9000 -0.4557 -0.3985
H -1.6301 -2.1762 1.5972
H 3.9727 0.1572 -3.7862
H 4.8489 -0.4506 -2.4156
H -4.5986 -0.7538 0.1868
H -3.4435 -0.4511 1.5087
H -4.2804 -2.0182 1.3941
H 1.0585 -7.0784 -0.0158
H 2.1065 -6.0207 0.9590
H 0.5159 -6.5037 1.5748
H -1.8781 5.1113 1.7087
H -0.3536 4.9876 2.6157
H -0.6316 6.3520 1.5193
H 0.8750 4.8419 0.4311
H 1.2978 0.9808 -0.1216
H 2.4701 0.6650 1.1456
H 1.9178 -1.7128 1.1614
H 0.4791 -0.7216 1.4118
H 0.0192 -0.9880 -1.1119
H 1.2978 -2.1965 -1.1294
H -0.8638 -3.2560 -1.0193
```

## Properties
gap between HOMO and LUMO: 0.3246 Eh
E: -1690.50062 Ha
charge: +1
F_max: 3.1 eV/Å
highest occupied orbital energy: -0.4224 Eh
LUMO: -2.661 eV

=====

(2)
Density functional theory data (the ωB97M-V functional and the def2-TZVPD basis) for one molecule with the formula C7H6O.

```
14
Properties=species:S:1:pos:R:3
C 0.9829 3.6641 -0.0304
C 1.0944 2.3637 0.1587
C 0.9925 0.8245 0.0836
C -0.1820 0.1752 0.5316
C -0.1195 -1.2885 0.1797
O 0.9927 -1.5355 -0.7993
C -1.3571 -1.7663 0.0187
C -2.6649 -1.8093 0.0408
H 1.1872 4.8156 -0.3301
H 1.8882 0.3619 -0.5423
H -0.9744 0.4847 1.2986
H 0.4037 -1.7302 1.1629
H 0.6601 -2.3198 -1.1101
H -3.5835 -2.3088 0.0196
```

## Properties
ΔE to the lowest compared entry with this formula, charge and spin: 157.6 kcal per mole
gap between HOMO and LUMO: 0.3329 Eh
E: -345.27403 Ha
SMILES: C#C/C=C/[C@H](O)C#C
F_max: 12.5 eV/Å
highest occupied orbital energy: -0.3229 Eh
LUMO: 0.271 eV

=====

(3)
Density functional theory data (the ωB97M-V functional and the def2-TZVPD basis) for one molecule with the formula C20H21N3O3.

```
47
Properties=species:S:1:pos:R:3
C -0.8908 4.3960 -2.3049
C 0.0502 3.4546 -3.0495
N 0.5088 2.3895 -2.1786
C -0.2365 1.2849 -2.0002
C 0.0724 0.2587 -1.1594
C -0.9061 -0.8744 -1.1263
O -1.9275 -0.8431 -1.7988
N -0.5600 -1.8973 -0.3317
C -1.4111 -3.0451 -0.1254
C -2.0258 -3.0401 1.2522
C -2.6893 -1.9130 1.7065